Given:
- - -
Record 1
Here is TiTlWO5F after structural relaxation from Materials Project. Energies are from PBE+U.

Unit cell a=7.3678 b=10.2516 c=7.4775 alpha=90.00 beta=90.00 gamma=90.00
Last column: nearest neighbours and their distance in Å.
Space group Ima2 (No. 46)
One atom of each set of equivalent atoms:
Ti1 0.2500 0.2348 0.0000  4 O 1.84-2.03, 2 F 2.00-2.01
Tl1 0.2500 0.6461 0.6570  4 O 2.84-3.11
W1 0.0000 0.0000 0.7363  6 O 1.85-2.03
O1 0.0646 0.1227 0.9400  1 Ti 1.84, 1 W 2.03
O2 0.0659 0.1279 0.5737  1 W 1.85, 1 Ti 2.03
O3 0.2500 0.5664 0.2561  2 W 1.97
F1 0.2500 0.1814 0.2577  2 Ti 2.00-2.01

Properties
Piezoelectric modulus e_max, C/m²: 5.859
MP2020-corrected energy, eV per atom: -8.129

Record 2
Here is VOF3 after structural relaxation from Materials Project. Energies are from PBE+U.

Unit cell a=5.3598 b=5.3598 c=9.2123 alpha=90.00 beta=90.00 gamma=90.00
Last column: nearest neighbours and their distance in Å.
Space group P4_1 (No. 76)
One atom of each set of equivalent atoms:
V1 0.0794 0.6104 0.0000  1 O 1.58, 1 F 1.77
O1 0.1718 0.4251 0.5879  1 V 1.58
F1 0.0695 0.1860 0.3423  2 V 1.98-2.00
F2 0.0737 0.3544 0.8795  1 V 1.77
F3 0.2972 0.4484 0.1211  1 V 1.83

Properties
Piezoelectric modulus e_max, C/m²: 1.338
MP2020-corrected energy, eV per atom: -6.642

Record 3
Here is VOF2 after structural relaxation from Materials Project. Energies are from PBE+U.

Unit cell a=5.2371 b=5.3794 c=12.8087 alpha=90.81 beta=91.29 gamma=118.60
Last column: nearest neighbours and their distance in Å.
Space group P-1 (No. 2)
One atom of each set of equivalent atoms:
V1 0.0000 0.0000 0.0000  2 O 1.96, 4 F 1.97-1.99
V2 0.0000 0.0000 0.5000  2 O 1.95, 4 F 1.95-2.04
V3 0.3272 0.6901 0.1617  1 O 1.68
V4 0.3312 0.6110 0.6642  2 O 1.68-1.70
O1 0.0943 0.3394 0.5845  1 V 1.70
O2 0.1962 0.8034 0.0626  1 V 1.68
O3 0.4786 0.5306 0.2792  1 V 1.68
F1 0.0687 0.5359 0.7773  2 V 1.93-2.02
F2 0.1365 0.8526 0.6146  2 V 1.95-2.10
F3 0.2685 0.1213 0.8816  2 V 1.96-1.99
F4 0.2683 0.3436 0.0821  2 V 1.97-2.00
F5 0.4097 0.0067 0.2566  2 V 1.94-2.08
F6 0.4108 0.2009 0.4456  2 V 1.91-2.04

Properties
MP2020-corrected energy, eV per atom: -7.300

Record 4
Here is V2OF5 after structural relaxation from Materials Project. Energies are from PBE+U.

Unit cell a=5.2778 b=5.4687 c=11.6702 alpha=79.41 beta=77.02 gamma=89.99
Last column: nearest neighbours and their distance in Å.
Space group P1 (No. 1)
One atom of each set of equivalent atoms:
V1 0.0000 0.0000 0.0000  1 O 1.69
V2 0.1433 0.1640 0.6728  1 O 1.67
V3 0.3284 0.3379 0.3248  6 F 1.95-1.99
V4 0.4990 0.5087 0.9831  6 F 1.97-1.98
V5 0.6604 0.6808 0.6386  1 O 1.68
V6 0.8310 0.8401 0.3198  4 F 1.95-1.99, 2 O 1.98
O1 0.0016 0.0917 0.8188  1 V 1.67
O2 0.6624 0.7518 0.4926  1 V 1.68
O3 0.9984 0.9274 0.1470  1 V 1.69
F1 0.0089 0.1211 0.3550  2 V 1.95-1.99
F2 0.1197 0.6249 0.3530  2 V 1.95-1.99
F3 0.2133 0.7246 0.9508  2 V 1.97
F4 0.3129 0.4233 0.1533  2 V 1.98-1.99
F5 0.3155 0.2201 0.9519  2 V 1.97-1.98
F6 0.3329 0.2515 0.4962  2 V 1.97-2.05
F7 0.3471 0.4580 0.6866  2 V 1.97-1.99
F8 0.4478 0.9576 0.6861  2 V 1.97-1.98
F9 0.5411 0.0564 0.2902  2 V 1.95-1.99
F10 0.6503 0.5559 0.2889  2 V 1.95-1.99
F11 0.6755 0.5943 0.8121  2 V 1.97-2.01
F12 0.6813 0.7969 0.0148  2 V 1.97-1.98
F13 0.7825 0.2926 0.0162  2 V 1.97-1.98
F14 0.8803 0.3873 0.6227  2 V 1.96-1.99
F15 0.9793 0.8893 0.6232  2 V 1.97-1.99

Properties
MP2020-corrected energy, eV per atom: -7.124

Record 5
Here is V2O3F after structural relaxation from Materials Project. Energies are from PBE+U.

Unit cell a=15.0549 b=6.4112 c=6.9434 alpha=90.00 beta=90.00 gamma=90.00
Last column: nearest neighbours and their distance in Å.
Space group Amm2 (No. 38)
One atom of each set of equivalent atoms:
V1 0.0000 0.0000 0.0000  5 O 1.78-1.97
V2 0.1000 0.0000 0.4511  4 O 1.98-2.02, 2 F 2.04
V3 0.1997 0.0000 0.9014  5 O 1.78-1.97
V4 0.3002 0.0000 0.4494  4 O 1.97-2.03, 2 F 2.04-2.05
V5 0.3995 0.0000 0.9954  5 O 1.79-1.97
V6 0.5000 0.0000 0.4449  4 O 1.97-2.01, 2 F 2.06
- - -

What to do:
The reader should type out the listing earlier on character by character.

Reply:
Record 1
Here is TiTlWO5F after structural relaxation from Materials Project. Energies are from PBE+U.

Unit cell a=7.3678 b=10.2516 c=7.4775 alpha=90.00 beta=90.00 gamma=90.00
Last column: nearest neighbours and their distance in Å.
Space group Ima2 (No. 46)
One atom of each set of equivalent atoms:
Ti1 0.2500 0.2348 0.0000  4 O 1.84-2.03, 2 F 2.00-2.01
Tl1 0.2500 0.6461 0.6570  4 O 2.84-3.11
W1 0.0000 0.0000 0.7363  6 O 1.85-2.03
O1 0.0646 0.1227 0.9400  1 Ti 1.84, 1 W 2.03
O2 0.0659 0.1279 0.5737  1 W 1.85, 1 Ti 2.03
O3 0.2500 0.5664 0.2561  2 W 1.97
F1 0.2500 0.1814 0.2577  2 Ti 2.00-2.01

Properties
Piezoelectric modulus e_max, C/m²: 5.859
MP2020-corrected energy, eV per atom: -8.129

Record 2
Here is VOF3 after structural relaxation from Materials Project. Energies are from PBE+U.

Unit cell a=5.3598 b=5.3598 c=9.2123 alpha=90.00 beta=90.00 gamma=90.00
Last column: nearest neighbours and their distance in Å.
Space group P4_1 (No. 76)
One atom of each set of equivalent atoms:
V1 0.0794 0.6104 0.0000  1 O 1.58, 1 F 1.77
O1 0.1718 0.4251 0.5879  1 V 1.58
F1 0.0695 0.1860 0.3423  2 V 1.98-2.00
F2 0.0737 0.3544 0.8795  1 V 1.77
F3 0.2972 0.4484 0.1211  1 V 1.83

Properties
Piezoelectric modulus e_max, C/m²: 1.338
MP2020-corrected energy, eV per atom: -6.642

Record 3
Here is VOF2 after structural relaxation from Materials Project. Energies are from PBE+U.

Unit cell a=5.2371 b=5.3794 c=12.8087 alpha=90.81 beta=91.29 gamma=118.60
Last column: nearest neighbours and their distance in Å.
Space group P-1 (No. 2)
One atom of each set of equivalent atoms:
V1 0.0000 0.0000 0.0000  2 O 1.96, 4 F 1.97-1.99
V2 0.0000 0.0000 0.5000  2 O 1.95, 4 F 1.95-2.04
V3 0.3272 0.6901 0.1617  1 O 1.68
V4 0.3312 0.6110 0.6642  2 O 1.68-1.70
O1 0.0943 0.3394 0.5845  1 V 1.70
O2 0.1962 0.8034 0.0626  1 V 1.68
O3 0.4786 0.5306 0.2792  1 V 1.68
F1 0.0687 0.5359 0.7773  2 V 1.93-2.02
F2 0.1365 0.8526 0.6146  2 V 1.95-2.10
F3 0.2685 0.1213 0.8816  2 V 1.96-1.99
F4 0.2683 0.3436 0.0821  2 V 1.97-2.00
F5 0.4097 0.0067 0.2566  2 V 1.94-2.08
F6 0.4108 0.2009 0.4456  2 V 1.91-2.04

Properties
MP2020-corrected energy, eV per atom: -7.300

Record 4
Here is V2OF5 after structural relaxation from Materials Project. Energies are from PBE+U.

Unit cell a=5.2778 b=5.4687 c=11.6702 alpha=79.41 beta=77.02 gamma=89.99
Last column: nearest neighbours and their distance in Å.
Space group P1 (No. 1)
One atom of each set of equivalent atoms:
V1 0.0000 0.0000 0.0000  1 O 1.69
V2 0.1433 0.1640 0.6728  1 O 1.67
V3 0.3284 0.3379 0.3248  6 F 1.95-1.99
V4 0.4990 0.5087 0.9831  6 F 1.97-1.98
V5 0.6604 0.6808 0.6386  1 O 1.68
V6 0.8310 0.8401 0.3198  4 F 1.95-1.99, 2 O 1.98
O1 0.0016 0.0917 0.8188  1 V 1.67
O2 0.6624 0.7518 0.4926  1 V 1.68
O3 0.9984 0.9274 0.1470  1 V 1.69
F1 0.0089 0.1211 0.3550  2 V 1.95-1.99
F2 0.1197 0.6249 0.3530  2 V 1.95-1.99
F3 0.2133 0.7246 0.9508  2 V 1.97
F4 0.3129 0.4233 0.1533  2 V 1.98-1.99
F5 0.3155 0.2201 0.9519  2 V 1.97-1.98
F6 0.3329 0.2515 0.4962  2 V 1.97-2.05
F7 0.3471 0.4580 0.6866  2 V 1.97-1.99
F8 0.4478 0.9576 0.6861  2 V 1.97-1.98
F9 0.5411 0.0564 0.2902  2 V 1.95-1.99
F10 0.6503 0.5559 0.2889  2 V 1.95-1.99
F11 0.6755 0.5943 0.8121  2 V 1.97-2.01
F12 0.6813 0.7969 0.0148  2 V 1.97-1.98
F13 0.7825 0.2926 0.0162  2 V 1.97-1.98
F14 0.8803 0.3873 0.6227  2 V 1.96-1.99
F15 0.9793 0.8893 0.6232  2 V 1.97-1.99

Properties
MP2020-corrected energy, eV per atom: -7.124

Record 5
Here is V2O3F after structural relaxation from Materials Project. Energies are from PBE+U.

Unit cell a=15.0549 b=6.4112 c=6.9434 alpha=90.00 beta=90.00 gamma=90.00
Last column: nearest neighbours and their distance in Å.
Space group Amm2 (No. 38)
One atom of each set of equivalent atoms:
V1 0.0000 0.0000 0.0000  5 O 1.78-1.97
V2 0.1000 0.0000 0.4511  4 O 1.98-2.02, 2 F 2.04
V3 0.1997 0.0000 0.9014  5 O 1.78-1.97
V4 0.3002 0.0000 0.4494  4 O 1.97-2.03, 2 F 2.04-2.05
V5 0.3995 0.0000 0.9954  5 O 1.79-1.97
V6 0.5000 0.0000 0.4449  4 O 1.97-2.01, 2 F 2.06